Exercise =
It remains to filter the notes further below: keep the lines with the word "for".

Data =
........
Rb4HgAu | the Alexandria database | PBE | optimized geometry; polymorph energy (0 for the lowest one) = 0 meV per atom; E_tot = -1.406 eV/atom; symmetry = Pnma (62); calculated formation energy = -0.16 eV per atom
1.0
9.894 0.000 0.000
0.000 5.223 0.000
0.000 0.000 23.182
Rb Hg Au
16 4 4
direct
0.007 0.250 0.068
0.035 0.250 0.779
0.137 0.250 0.354
0.137 0.250 0.554
0.363 0.750 0.054
0.363 0.750 0.854
0.465 0.750 0.279
0.493 0.750 0.568
0.507 0.250 0.432
0.535 0.250 0.721
0.637 0.250 0.146
0.637 0.250 0.946
0.863 0.750 0.446
0.863 0.750 0.646
0.965 0.750 0.221
0.993 0.750 0.932
0.240 0.750 0.688
0.260 0.250 0.188
0.740 0.750 0.812
0.760 0.250 0.312
0.249 0.250 0.951
0.251 0.750 0.451
0.749 0.250 0.549
0.751 0.750 0.049

---

Pr3HoTh4S8 | the Alexandria database | PBE | optimized geometry; energy relative to the elements, uncorrected = -1.912 eV/atom; E_tot = -7.013 eV/atom; symmetry = R-3m (166)
1.0
4.011 2.316 6.717
-4.011 2.316 6.717
0.000 -4.631 6.717
Pr Ho Th S
3 1 4 8
direct
0.000 0.500 0.500
0.500 0.000 0.500
0.500 0.500 0.000
0.000 0.000 0.000
0.000 0.000 0.500
0.000 0.500 0.000
0.500 0.000 0.000
0.500 0.500 0.500
0.242 0.756 0.756
0.244 0.244 0.758
0.244 0.758 0.244
0.249 0.249 0.249
0.751 0.751 0.751
0.756 0.242 0.756
0.756 0.756 0.242
0.758 0.244 0.244

---

LiSmDy2 | the Alexandria database | PBE | optimized geometry; polymorph energy (0 for the lowest one) = 34 meV per atom; E_tot = -3.850 eV/atom; symmetry = R3m (160); calculated formation energy = 0.11 eV per atom
1.0
1.763 1.018 11.228
-1.763 1.018 11.228
0.000 -2.036 11.228
Li Sm Dy
1 1 2
direct
0.000 0.000 0.000
0.167 0.167 0.167
0.414 0.414 0.414
0.586 0.586 0.586

---

VTeSI2 | the Alexandria database | PBE | optimized geometry; polymorph energy (0 for the lowest one) = 305 meV per atom; energy relative to the elements, uncorrected = 0.805 eV/atom; E_tot = -3.092 eV/atom; symmetry = P4/mmm (123)
1.0
5.445 0.000 0.000
0.000 5.445 0.000
0.000 0.000 5.437
V Te S I
1 1 1 2
direct
0.000 0.000 0.000
0.500 0.500 0.000
0.500 0.500 0.500
0.000 0.500 0.500
0.500 0.000 0.500

---

Pm2Pr7Sm2 | the Alexandria database | PBE | optimized geometry; polymorph energy (0 for the lowest one) = 0 meV per atom; E_tot = -4.663 eV/atom; symmetry = C2/m (12); calculated formation energy = 0.10 eV per atom
1.0
4.627 -4.885 0.000
4.627 4.885 0.000
-1.764 0.000 8.789
Pm Pr Sm
2 7 2
direct
0.176 0.824 0.000
0.824 0.176 0.000
0.047 0.415 0.703
0.348 0.348 0.087
0.415 0.047 0.703
0.500 0.500 0.500
0.585 0.953 0.297
0.652 0.652 0.913
0.953 0.585 0.297
0.111 0.111 0.355
0.889 0.889 0.645

---

Ti6VPb | the Alexandria database | PBE | optimized geometry; polymorph energy (0 for the lowest one) = 0 meV per atom; E_tot = -7.461 eV/atom; symmetry = Amm2 (38); calculated formation energy = 0.06 eV per atom
1.0
4.616 0.000 0.000
0.000 3.126 4.904
0.000 -3.126 4.904
Ti V Pb
6 1 1
direct
0.000 0.000 0.000
0.000 0.518 0.969
0.000 0.969 0.518
0.500 0.277 0.277
0.500 0.278 0.803
0.500 0.803 0.278
0.500 0.810 0.810
0.000 0.481 0.481

---

LiNd2V | the Alexandria database | PBE | optimized geometry; E_tot = -4.472 eV/atom; symmetry = R-3m (166); calculated formation energy = 0.67 eV per atom
1.0
1.651 0.953 11.528
-1.651 0.953 11.528
0.000 -1.906 11.528
Li Nd V
1 2 1
direct
0.000 0.000 0.000
0.419 0.419 0.419
0.581 0.581 0.581
0.500 0.500 0.500

---

TbNd2Hg | the Alexandria database | PBE | optimized geometry; polymorph energy (0 for the lowest one) = 91 meV per atom; E_tot = -3.755 eV/atom; symmetry = R-3m (166); calculated formation energy = -0.14 eV per atom
1.0
1.842 1.063 10.891
-1.842 1.063 10.891
0.000 -2.126 10.891
Tb Nd Hg
1 2 1
direct
0.000 0.000 0.000
0.244 0.244 0.244
0.756 0.756 0.756
0.500 0.500 0.500

=====

Computed, not measured: crystalline Li2AgSnF8 at its relaxed geometry at the GGA-PBE level of DFT.

Computed properties:
........

Worked solution =
Rb4HgAu | the Alexandria database | PBE | optimized geometry; polymorph energy (0 for the lowest one) = 0 meV per atom; E_tot = -1.406 eV/atom; symmetry = Pnma (62); calculated formation energy = -0.16 eV per atom
LiSmDy2 | the Alexandria database | PBE | optimized geometry; polymorph energy (0 for the lowest one) = 34 meV per atom; E_tot = -3.850 eV/atom; symmetry = R3m (160); calculated formation energy = 0.11 eV per atom
VTeSI2 | the Alexandria database | PBE | optimized geometry; polymorph energy (0 for the lowest one) = 305 meV per atom; energy relative to the elements, uncorrected = 0.805 eV/atom; E_tot = -3.092 eV/atom; symmetry = P4/mmm (123)
Pm2Pr7Sm2 | the Alexandria database | PBE | optimized geometry; polymorph energy (0 for the lowest one) = 0 meV per atom; E_tot = -4.663 eV/atom; symmetry = C2/m (12); calculated formation energy = 0.10 eV per atom
Ti6VPb | the Alexandria database | PBE | optimized geometry; polymorph energy (0 for the lowest one) = 0 meV per atom; E_tot = -7.461 eV/atom; symmetry = Amm2 (38); calculated formation energy = 0.06 eV per atom
TbNd2Hg | the Alexandria database | PBE | optimized geometry; polymorph energy (0 for the lowest one) = 91 meV per atom; E_tot = -3.755 eV/atom; symmetry = R-3m (166); calculated formation energy = -0.14 eV per atom